Jul 03 2007
Well, Does Echinacea Work for the Common Cold or Not?
The interpretation of clinical trials is very complex, even for practicing physicians who have to base medical decisions on such evidence. For the public, who rely heavily on media-filtered information about clinical research, the task is almost impossible. The result is general confusion.
The story of Echinacea, and whether or not it is useful for the treatment of the common cold, is a good example of the complexities involved – especially when dealing with an unregulated product marketed directly to the consumer. Echinacea has been marketed for decades as a cold remedy. Early clinical trials showed mixed results, but proponents cherry picked the positive studies to promote Echinacea to the public. Then a series of well designed trials all showed no effect, and it seemed that Echinacea would be relegated forever to the fringes of CAM.
Now, a recent meta-analysis of 14 studies involving the use of Echinacea for the treatment of the common cold found that “Published evidence supports echinacea’s benefit in decreasing the incidence and duration of the common cold.” The press is promoting this as a new “study” that shows that Echinacea works.
Confusion ensues.
The Echinacea story reflects the basic misrepresentation of clinical evidence to the public, and even to professionals. Here are some basic principles to keep in mind when evaluating such evidence.
Confusion of Basic and Clinical Research
Medical research is divided into basic science ( test tube and animal studies), and clinical research (studies on people). Often the purveyors of drugs, supplements, and all variety of medical devices and products will make clinical claims based upon basic science evidence. This is disingenuous and misleading.
For example, with Echinacea, there are studies showing that certain chemicals in certain preparations of certain parts of the Echinacea plant have affects on certain parts of the immune system, like T-cells and phagocytes. Echinacea promoters then extrapolate from these test-tube effects to the clinical claim that Echinacea “boosts immune system function” and then further from that to the claim that it helps the common cold.
(Materials data from another source follow)
********
[1]
GaPd2Au (GGA-PBE, relaxed); magnetic moment = 0.0 μB per formula unit; ΔE_f = -0.440 eV/atom; ρ = 12648 kg/m³
1.0
-1.137 -2.191 1.646
-0.168 -1.723 -2.409
6.593 -2.451 1.294
Au Ga Pd
1 1 2
Direct
0.500 0.500 0.500
0.500 0.500 0.000
0.000 0.000 0.782
0.000 0.000 0.218


[2]
RbTmCdF6 (GGA-PBE, relaxed); magnetic moment = 0.0 μB per formula unit; uncorrected formation energy = -3.19 eV per atom; ρ = 4198 kg/m³
1.0
-1.897 7.630 2.440
-4.905 0.754 -6.169
-0.979 -6.311 5.087
Rb Tm Cd F
2 2 2 12
Direct
0.822 0.572 0.643
0.178 0.428 0.357
0.500 0.000 0.500
0.000 0.000 0.500
0.500 0.500 0.000
0.500 0.000 0.000
0.416 0.666 0.832
0.805 0.055 0.611
0.831 0.078 0.261
0.430 0.683 0.261
0.430 0.078 0.261
0.831 0.683 0.261
0.584 0.334 0.168
0.195 0.945 0.389
0.169 0.922 0.739
0.570 0.317 0.739
0.570 0.922 0.739
0.169 0.317 0.739


[3]
HfS (GGA-PBE, relaxed); magnetic moment = 0.0 μB per formula unit; uncorrected formation energy = -1.49 eV per atom; ρ = 10165 kg/m³
1.0
-0.901 -2.448 -2.188
0.611 -2.354 2.382
-5.479 2.815 1.755
Hf S
2 2
Direct
0.167 0.167 0.334
0.917 0.417 0.834
0.750 0.750 0.501
0.500 0.000 0.001

~~~~~

Version i
Compound: Dy2LuHf
Source: Alexandria
Functional: PBE-GGA
Structure: relaxed

Cell: 3.9744 3.9744 7.1368 Å, 90.00 90.00 90.00°
With the nearest neighbours (Å) after each atom.
Element x y z (fractional)
Dy 0.0000 0.0000 0.2273  1 Dy 3.24, 4 Hf 3.24, 4 Lu 3.42
Dy 0.0000 0.0000 0.7727  1 Dy 3.24, 4 Hf 3.24, 4 Lu 3.42
Lu 0.5000 0.5000 0.5000  8 Dy 3.42, 2 Hf 3.57
Hf 0.5000 0.5000 0.0000  8 Dy 3.24, 2 Lu 3.57

The total magnetic moment is 0.00 μB per cell. The density of states at the Fermi level comes out at 6.44 states/eV per cell.

***

Version ii
Compound: Dy2LuHf
Source: Alexandria
Functional: PBE-GGA
Structure: relaxed

Cell: 4.8219 4.8219 4.7861 Å, 90.00 90.00 90.00°
With the nearest neighbours (Å) after each atom.
Element x y z (fractional)
Dy 0.0000 0.5000 0.0000  4 Hf 3.40, 4 Lu 3.40, 4 Dy 3.41
Dy 0.5000 0.0000 0.0000  4 Hf 3.40, 4 Lu 3.40, 4 Dy 3.41
Lu 0.0000 0.0000 0.5000  8 Dy 3.40, 4 Hf 3.41
Hf 0.5000 0.5000 0.5000  8 Dy 3.40, 4 Lu 3.41

The total magnetic moment is 0.00 μB per cell. The density of states at the Fermi level comes out at 5.33 states/eV per cell.

***

Version iii
Compound: Dy2LuHf
Source: Alexandria
Functional: PBE-GGA
Structure: relaxed

Cell: 12.0421 12.0421 12.0421 Å, 15.82 15.82 15.82°
With the nearest neighbours (Å) after each atom.
Element x y z (fractional)
Dy 0.0873 0.0873 0.0873  1 Hf 3.11, 6 Dy 3.31, 3 Lu 3.42
Dy 0.9127 0.9127 0.9127  1 Hf 3.11, 6 Dy 3.31, 3 Lu 3.42
Lu 0.5000 0.5000 0.5000  6 Lu 3.31, 6 Dy 3.42
Hf 0.0000 0.0000 0.0000  2 Dy 3.11, 6 Hf 3.31

The total magnetic moment is 0.00 μB per cell. The density of states at the Fermi level comes out at 6.25 states/eV per cell.

***

We find version ii to be the most stable, with the next structure 0.081 eV/atom higher.

***

Version i
Compound: Dy2HfMg
Source: Alexandria
Functional: PBE-GGA
Structure: relaxed
********
(The text goes on)
But serious medical researchers know this to be utter folly. It is difficult to impossible to extrapolate from chemical or cellular reactions in a test tube to a net medical effect on an entire organism. What we think should happen based upon basic science information rarely predicts what exactly happens in people. Basic science should be used to guide clinical research, but it cannot replace and never should trump clinical research.
So rule #1 is to beware clinical claims based upon basic science alone.
Reliance on individual studies
The medical research is a complex evolving beast, and to truly understand if a treatment works one must look not only at plausibility but all the clinical research to see what the overall pattern is. Individual studies are quirky, often biased or flawed, and never tell the whole story. It takes time – years – for a research question to work itself out to a reasonable degree of reliability.
Rule #2 – beware preliminary research, or conclusions based upon 1 or a few studies.
Confusing different types of “studies”
Often, the media will report anything published as a “study,” as they did in this case with the recent meta-analysis of Echinacea, as if it is new data or data that bears directly on efficacy. But a study could be a survey or it could be just a reanalysis of old data – as in this case. The meta-analysis did not present any new evidence for Echinacea. Calling it a “study” is misleading.
Rule #3 – Know what kind of study is being referred to.
A meta-analysis takes several previous studies and then analyzes the data lumped together. It is a very problematic and complex analysis to do, and is often misused. The greatest weakness of a meta-analysis is that it lumps together different studies with different methods and outcome measures. There is also great risk of selection bias in which studies to analyze.
A meta-analysis misses what I think is a critical aspect of an evolving research literature on a question – how does the quality of the study relate to the size of an effect, if any? Also, do the various results present a consistent picture, or do they contradict each other.
For a large and complex literature, a systematic review is a much better tool for analyzing the research. Systematic reviews look at all studies on a question and look to see what the overall pattern is – what do the best studies show, how consistent are they, what was the effect on outcome of fixing criticisms of the early research, etc.
Rule #4 – Beware the meta-analysis
Anecdotes and Testimonies
Do I even need to go into this again?
Rule #5 – Beware anecdotes and testimonies
Back to Echinacea
With all this in mind, let’s take another look at the Echinacea question. The plausibility of Echinacea is low but not zero. Unlike homeopathy, herbs contain actual chemicals that can have a pharmacological effect in the body. Herbs are drugs. But treating the common cold has a low probability. The cold is caused by a large number of viruses that are constantly evolving. There is no silver bullet that makes the immune system function better than it evolved to function against viruses, at least not that anyone has credibly found so far.
The basic science findings of Echinacea are not very compelling. They are the types of non-specific changes that can be found with hundreds of compounds, and basically just mean that the immune system is reacting to a foreign agent.
So the basic science is unconvincing and the prior probability is low but not zero. What about the clinical evidence?
I think this Cochrane Review is a much better assessment of the evidence than any meta-analysis. It concludes that the data is inconsistent and there is insufficient evidence to conclude that Echinacea works for the common cold.
I am also compelled by the fact that the best studies in terms of methods and controls were all negative.
I do not think that this current meta-analysis adds anything to the body of evidence on Echinacea, but it will serve to confuse the public on the issue. The herbalist community has happily accepted the results and will contribute to the confusion.
Interestingly, on one herbal site I found a cogent description of the complexity of analyzing herbal remedies – and why I think they are dirty drugs that are not very useful. The site was using this, however, as a way of dismissing negative evidence, but the same arguments could be used to dismiss positive studies, and this meta-analysis.
They wrote:
“The assessment of echinacea’s effectiveness is complicated for several reasons: (1) 3 different species (Echinacea angustifolia, E. purpurea, and E. pallida) are used medicinally; (2) different parts of the plant (root, herb, flower, or whole plant) are used in various preparations; (3) various preparation methods are used in production (dried herb material, extraction, fresh-pressed juice, etc.); (4) some echinacea preparations contain combinations of species, plant parts and/or types of preparation methods; and (5) some echinacea-based products also contain other plant extracts or (in other countries) homeopathic components.”
Well, I don’t think the addition of homeopathic components makes any difference, because homeopathy is just water, but the other points are valid. The real question is, how is this information used. Promoters used these points to say that any study that shows that Echinacea does not work simply studied the wrong species, or the wrong preparation of the wrong part of the plant. Such excuses can be endless.
It is precisely why herbal remedies are so problematic. We should be isolating the chemicals, studying their effects, purifying them, and then giving purified substance in known doses to test subjects in clinical trials to assess safety and efficacy. Otherwise we are stuck on the endless herbal merry-go-round.
My assessment of all the evidence is that Echinacea probably does not work for the common cold, or anything for which it is currently claimed. It also just as likely contains substances that if isolated and purified might have interesting and useful pharmacological applications. CAM proponents have been very successful, however, in using politics and propaganda to generate a tremendous amount of confusion and nonsense, the result of which is a great deal of wasted research effort asking the wrong questions or performing useless studies that do not have the potential to settle debate.